“May my meditation
Lose its heart
Inside God’s Silence-Eye.”
Sri Chinmoy, Twenty-Seven Thousand Aspiration-Plants, part 192, Agni Press, 1993
Archbishop Desmond Tutu and Sri Chinmoy met on a number of occasions, developing a strong friendship.
Sri Chinmoy first met Archbishop Desmond Tutu on December 11th, 1995 at the Archbishop's official residence in Cape Town, South Africa.
At this meeting, Sri Chinmoy presented Archbishop Tutu with the U Thant Peace Award on behalf of the Peace Meditation at the United Nations. The inscription on the plaque read:
The U Thant Peace Award is presented to Archbishop Desmond Tutu: – devoted messenger of the divine unity of the Creator's rainbow-children; – eloquent voice of humanity's suffering and Divinity's Compassion; – harbinger of the spirituality of transformation; – sowing the seeds of Heaven's oneness-love in earth's division-mind; – offering the flower-victory at the Feet of the Supreme Father 1
Several songs composed for and about Desmond Tutu by Sri Chinmoy were sung, including the following:
“Archbishop Desmond Tutu, Desmond!
A soul-diamond, a heart-diamond.
Archbishop, Peace-Dreamer, Archbishop!
Your code of life: Stop violence, stop!
O wisdom-fountain, justice-mountain,
In you, with you no ignorance-chain.
Africa's life-story, heart-poem, soul-song
The whole world hears from your vision-gong.” 2
At the close of their visit, Archbishop Tutu said to Sri Chinmoy:
“Thank you for taking the time to come out here and spread your message of love and harmony and peace. It is just wonderful timing that you have come now, because I have just recently been appointed to chair the Truth and Reconciliation Commission which we all hope is going to assist our country in the process of healing all the trauma that was caused by apartheid and the injustices of the past. We hope that you will uphold us in your prayers as we set out on this momentous journey in our country.” 3
On many occasions, at Archbishop Tutu's request, Sri Chinmoy arranged for large shipments of humanitarian goods to be sent to various South African service groups – especially to the Philani Child Health and Nutrition Project. Father Tutu serves as Patron to this community-based NGO which offers nutrition and health care to children in many of South Africa's poorest townships.
**What comes next are records of crystals, not part of the article**
~~~
Record 1
First-principles (PBE) data for crystalline CaBeSe2N at its relaxed geometry, as listed in Alexandria via LeMat-Bulk.

Cell lengths 5.2250, 5.2250, 3.2246 Å; angles 90.00, 90.00, 90.00 degrees
With the nearest neighbours (Å) after each atom.
Positions (direct):
1 Se 0.0000 0.5000 0.0000  2 Be 2.61
2 Se 0.5000 0.0000 0.0000  2 Be 2.61
3 Be 0.0000 0.0000 0.0000  2 N 1.61
4 N 0.0000 0.0000 0.5000  2 Be 1.61
5 Ca 0.5000 0.5000 0.5000  8 Se 3.07, 2 Ca 3.22

offset from the most stable computed form = 0.000 eV/atom
calculated volume = 88.03 Å³ per cell
density of states at the Fermi level = 3.27 states/eV/f.u.

Record 2
First-principles (PBE) data for crystalline Li12Zn3Pt at its relaxed geometry, as listed in Alexandria via LeMat-Bulk.

Cell lengths 3.9619, 3.9619, 16.1924 Å; angles 90.00, 90.00, 90.00 degrees
With the nearest neighbours (Å) after each atom.
Positions (direct):
1 Zn 0.0000 0.0000 0.7589  12 Li 2.80-2.89
2 Zn 0.0000 0.0000 0.5000  12 Li 2.80-2.88
3 Li 0.5000 0.0000 0.6292  8 Li 2.80-2.88, 4 Zn 2.88-2.89
4 Li 0.5000 0.5000 0.2427  4 Zn 2.80, 8 Li 2.87-2.90
5 Pt 0.0000 0.0000 0.0000  12 Li 2.69-2.80
6 Li 0.5000 0.0000 0.1120  8 Li 2.69-2.90, 2 Pt 2.69, 2 Zn 2.88
7 Li 0.5000 0.5000 0.7573  4 Zn 2.80, 8 Li 2.87-2.90
8 Li 0.0000 0.5000 0.1120  8 Li 2.69-2.90, 2 Pt 2.69, 2 Zn 2.88
9 Li 0.5000 0.5000 0.0000  8 Li 2.69, 4 Pt 2.80
10 Li 0.0000 0.5000 0.8880  2 Pt 2.69, 8 Li 2.69-2.90, 2 Zn 2.88
11 Li 0.0000 0.5000 0.3708  8 Li 2.80-2.88, 4 Zn 2.88-2.89
12 Li 0.5000 0.5000 0.5000  4 Zn 2.80, 8 Li 2.88
13 Li 0.0000 0.5000 0.6292  8 Li 2.80-2.88, 4 Zn 2.88-2.89
14 Zn 0.0000 0.0000 0.2411  12 Li 2.80-2.89
15 Li 0.5000 0.0000 0.3708  8 Li 2.80-2.88, 4 Zn 2.88-2.89
16 Li 0.5000 0.0000 0.8880  2 Pt 2.69, 8 Li 2.69-2.90, 2 Zn 2.88

energy of formation = -0.16 eV/atom
calculated volume = 254.17 Å³ per cell
density of states at the Fermi level = 4.74 states/eV/f.u.

Record 3
First-principles (PBE) data for crystalline Mn3Be8V at its relaxed geometry, as listed in Alexandria via LeMat-Bulk.

Cell lengths 4.1929, 4.1929, 6.8570 Å; angles 90.00, 90.00, 120.00 degrees
With the nearest neighbours (Å) after each atom.
Positions (direct):
1 Be 0.3333 0.6667 0.0006  6 Be 2.09
2 Mn 0.6667 0.3333 0.0625  12 Be 2.42-2.46, 4 Mn 2.57-2.58
3 Be 0.1638 0.3276 0.2464  6 Be 2.06-2.13
4 Be 0.6724 0.8362 0.2464  6 Be 2.06-2.13
5 V 0.0000 0.0000 0.5619  12 Be 2.46-2.48, 4 Mn 2.56-2.57
6 Be 0.5035 0.4965 0.7542  6 Be 2.05-2.15
7 Mn 0.0000 0.0000 0.9366  12 Be 2.43-2.46, 1 V 2.57, 3 Mn 2.57
8 Be 0.1638 0.8362 0.2464  6 Be 2.06-2.13
9 Be 0.3333 0.6667 0.4978  6 Be 2.12-2.15
10 Mn 0.6667 0.3333 0.4391  12 Be 2.45-2.48, 3 V 2.56, 1 Mn 2.58
11 Be 0.5035 0.0069 0.7542  6 Be 2.05-2.15
12 Be 0.9931 0.4965 0.7542  6 Be 2.05-2.15

energy of formation = -0.29 eV/atom
calculated volume = 104.40 Å³ per cell
density of states at the Fermi level = 5.26 states/eV/f.u.

Record 4
~~~
After nearly ten years of ongoing written and verbal communications, Sri Chinmoy met Archbishop Tutu again on March 16th and 17th,2004 – this time in New York at the UN Plaza Hotel across from the United Nations.
During a special ceremony to honour Archbishop Tutu, Sri Chinmoy lifted Archbishop Tutu overhead as part of the Lifting Up the World with a Oneness-Heart award programme.
At this meeting, Archbishop Tutu spoke about Sri Chinmoy:
“Looking on all the spiritual work that you do for peace here in the United Nations and in other parts of the world, God smiles saying, ‘Thank you! You are vindicating me!' You are part of the spiritual force of Love that emanates from God and which will transform the evil of this world into its counterpart. Thank you for persisting and going on, going on. The world continues its existence only because of people like yourselves who help to hold it in being…Thank you so very much for all you mean for God's world and God's children. God bless you richly.” 4
See also: video of meeting at Sri Chinmoy TV.
Sri Chinmoy also presented the Archbishop with a book of poems, songs and inspirations he had written for him entitled Archbishop Desmond Tutu: The World-Compassion-Heart-Nest. Some of the poems written by Sri Chinmoy, dedicated to Archbishop Tutu include:
“What you sleeplessly and breathlessly
Try to do
For the betterment of the world
At times amazes even God's Eye!”
“Each drop of your body
Is made of courage –
Fear nowhere!”
“The whole world admires your heroism, grace.
Champion of the poor and oppressed
You were, you are and you forever shall be,
In the heart of mankind.”
“You bring to the world
The message of oneness.
You tell each and everyone
That we are members of one family –
God's Family.”
Also, Sri Chinmoy set several of Archbishop Tutu's most significant utterances to music and these were performed during the ceremony:
“Until we are all free, none is going to be free.”
“Human life is impossible without faith.”
“God loves you not because you are lovable, but you are lovable precisely because God loves you.” 5
"I am happy to support your Peace Run for justice, peace and reconciliation. The world must know that God wants us to live amicably as brothers and sisters, members of one family, the human family, God's family." - Desmond Tutu
Sri Chinmoy and Archbishop Tutu regularly corresponded and greatly encouraged each other. For example, on August 5th, 2005, Archbishop Tutu gave a speech entitled 'A Tribute to Community' for the Kellogg Foundation's 75th anniversary. The speech spoke of South Africa's transformation from a pariah state to a vibrant democracy. When he heard this speech, Sri Chinmoy remarked:
“Archbishop Desmond Tutu's compassion, affection, concern and encouragement for humanity shall remain unparalleled in the heart of humanity. Usually it is very difficult to be spiritual and, at the same time, practical. But Archbishop Tutu has shown how spirituality can be practised in day-to-day life. How to solve humanity's problem in such a simple and effective way he has placed before the world.”
After Sri Chinmoy's passing on October 11th, 2007, Desmond Tutu sent this message:
“Sri Chinmoy was a great man. God is smiling to know the immense good he has accomplished and encouraged in others. In a world of suspicion, hostility and conflict he worked tirelessly to bring the different faiths together and inspired many to emulate.”
“I am a better person for having been touched by him. I give great thanks to God for his life, work and witness.” 6
Sri Chinmoy, Sri Chinmoy with four African peace-immortals, Agni Press, 1996↩︎
Archbishop Desmond Tutu: The world-compassion-heart-nest by Sri Chinmoy, AUM Publications, 2004, p. 99.↩︎
Archbishop Desmond Tutu: The world-compassion-heart-nest by Sri Chinmoy, AUM Publications, 2004, p. 76.↩︎
Video of meeting, March 17th, 2004.↩︎
Archbishop Desmond Tutu: The world-compassion-heart-nest/ at Sri Chinmoy Songs.↩︎
Private letter, August 9th, 2005.↩︎